Add Metabolic Performance & Health To Your Coaching/Personal Training Practice

OFM helps your clients:
  • Achieve their goals & set new PR's
  • Eliminate GI Issues
  • Eliminate bonking in races and in all facets of life
  • Recover like they never thought possible
  • Reduce injuries
  • Slow or turn back the aging process
OFM helps you, the coach:
  • Streamlines and reduces the coaching workload
  • Provides tangible metrics of metabolic progress
  • Dramatically simplifies intricate and highly structured nutrition and fueling strategies 
  • Provides additional revenue streams through our affiliate programs

_Between two parts of the text: data records_
Starting from a GGA-PBE-relaxed structure, the powder X-ray diffraction pattern of Na3GaSi2GeSO12 was computed for λ = 1.5418 Å (Cu Kα).

Atomic structure:
Lattice parameters (Å, degrees): 15.163 8.841 8.997 90.00 125.58 90.00
Space group Cc (No. 9)
Symmetry-distinct sites (fractional):
Na1 0.000 0.066 0.000 (multiplicity 4)
Na2 0.062 0.260 0.748 (multiplicity 4)
Na3 0.131 0.431 0.488 (multiplicity 4)
Ga1 0.424 0.246 0.815 (multiplicity 4)
Si1 0.326 0.455 0.012 (multiplicity 4)
Si2 0.467 0.105 0.515 (multiplicity 4)
Ge1 0.225 0.277 0.197 (multiplicity 4)
S1 0.178 0.098 0.505 (multiplicity 4)
O1 0.071 0.303 0.028 (multiplicity 4)
O2 0.087 0.170 0.499 (multiplicity 4)
O3 0.172 0.067 0.021 (multiplicity 4)
O4 0.172 0.126 0.336 (multiplicity 4)
O5 0.235 0.356 0.019 (multiplicity 4)
O6 0.238 0.443 0.326 (multiplicity 4)
O7 0.274 0.170 0.668 (multiplicity 4)
O8 0.360 0.195 0.335 (multiplicity 4)
O9 0.401 0.438 0.689 (multiplicity 4)
O10 0.405 0.353 0.987 (multiplicity 4)
O11 0.475 0.136 0.699 (multiplicity 4)
O12 0.479 0.074 0.992 (multiplicity 4)

Main lines, by angle (2θ from 10° to 80°):
14.05°, I = 46, hkl 1 1 -1; 19.74°, I = 70, hkl 2 0 -2; 20.06°, I = 100, hkl 1 1 1; 20.24°, I = 85, hkl 3 1 -1; 23.48°, I = 71, hkl 0 2 1; 28.31°, I = 49, hkl 2 2 -2; 31.50°, I = 64, hkl 3 1 -3; 31.75°, I = 72, hkl 0 2 2; 32.19°, I = 65, hkl 3 1 1; 35.26°, I = 70, hkl 3 3 -1
_Back to the text_


is the Key

The key to your potential! Achieving peak performance should enhance your health, not compromise it. The OFM Metabolic Reset & Adaptation Program focuses on building metabolic capacity at the cellular / mitochondrial level, the foundation of any athlete's health & performance potential.

OFM Solves Problems & Delivers RESULTS

You and your athletes can now experience consistent performance gains without energy ups & downs nor  GI issues, while eliminating hours of time spent resolving these issues and/or creating complex nutrition/fueling plans. Coaching simply gets a lot easier with OFM!

OFM is a comprehensive and individualized roadmap back to our native metabolic state to establish a metabolic foundation then build metabolic capacity  for the metabolic flexibility to harness fat, carbs and ketones fully and appropriately so you and your clients will achieve a state of "Higher Health & Peak Performance".

Incorporating OFM into your program is easy, gets results and brings unparalleled value to your clients. Our ground breaking data corroborates the winning, record breaking results and, most of all, the longevity our athletes consistently enjoy. Your clients will see similar progress via the INSCYD Metabolic Tests incorporated into the OFM Program.

Since the introduction of Vespa in 2000 we have continually developed performance-level fat metabolism by collaborating with athletes just like yours to help them reach new heights of health and performance.

Our testing ground is the real world of training and competition at the outer edges of human performance in order to continually develop a systematic yet individualized approach to guide athletes toward reaching Higher Health & Peak Performance.

The OFM Journey Has Three Phases

Metabolic Reset

A 28 Day video and information course designed to reset the athlete's metabolism back to its natural state of metabolizing fat as the primary aerobic energy source and prepare them to start building their metabolic capacity via the Adaptation Phase of OFM.


The Adaptation Phase focuses on building Metabolic Capacity for the health & performance gains experienced by OFM Athletes. By building Metabolic Capacity athletes gain the metabolic flexibility/efficiency and carbohydrate tolerance for the superior performance gains but, most of all, to make OFM a sustainable and enjoyable way of Life. 


Once 'Adapted' the athlete segues to a dynamic journey of continued learning and tweaking to further refine their individual OFM Journey using the OFM Portal, Facebook groups and monthly meetings. The OFM Portal gives athletes the support needed to continue to build and maintain their metabolic capacity to reach their health & performance potential.

Your athletes are never alone in their metabolic health & performance journey because you and your clients have support of our team and community members when they have questions or need advice. As a part of the OFM Experience, athletes are invited to collaborate in an active Facebook community where like-minded, health-conscious athletes and non-athletes share their experiences and knowledge. This is a private group moderated by OFM coaches. In addition, our Team is available for guidance and consultations. Most of our support is at no cost and built into our coaching support, however, we also offer individualized, paid consulting on an as needed basis. 

Furthermore, we are constantly innovating and updating the program to reflect the newest developments in metabolic health & performance.

We work closely with you, the coach, to deliver results to your clients.

Three Options For Your Athletes

OFM leverages your coaching so you can continue to do what you do best, provide your athletes with individualized guidance. The OFM Learning platform guides your athlete through every step of the process to establish and build their foundational physiology. This allows them to burn fat as their principal aerobic energy source, providing the metabolic flexibility to reach their highest performance potential.

Your athletes can choose from the following programs:

Metabolic Reset

  • Access to the Metabolic Reset online learning - lifetime access
  • Daily / Weekly assignments via email
  • Supplemntation guide
  • Access to our private Facebook community for support
  • Portal access for two months

Metabolic Reset + Adaptation

  • Access to the Metabolic Reset online learning - lifetime access
  • Access to the Adaptation online learning - lifetime access
  • Daily / Weekly assignments via email
  • Supplemntation guide
  • Baseline plus 2 comprehensive metabolic tests & evaluations via INSCYD to track and verify progress 
  • Access to our private Facebook community for support
  • Portal access for 6 months
  • Monthly portal group meetings for 6 months

Metabolic Reset + Adaptation + Portal

  • Access to the Metabolic Reset online learning - lifetime access
  • Access to the Adaptation online learning - lifetime access
  • Daily / Weekly assignments
  • Supplemntation guide
  • Baseline plus 3 comprehensive metabolic tests & evaluations via INSCYD to track and verify progress
  • Access to our private Facebook community for support
  • Portal access for 12 months
  • Monthly portal group meetings for 12 months

Measure Your Clients Progress With INSCYD Testing

Some of our programs include comprehensive metabolic testing by INSCYD to track your clients progress and refine their journey to peak performance and health potential.

With just one test, they get VO2max, VLamax, FatMax, carbohydrate and fat combustion rates, lactate accumulation, and more.

  • Comprehensive understanding of performance limitations
  • Detailed insights into individual physiological capabilities
  • Quantify possible improvements based on specific training adaptations

How We Work With You

(These records of crystals were left in the text by mistake)
-- begin --
(1)
This entry pairs a crystal structure of V12Zn3Si with its calculated XRD peak list. Radiation: Cu Kα, 1.54184 Å. Structure: a PBE-relaxed structure.

Cell and atoms:
```
V12Zn3Si
1.0
4.751 0.000 0.000
0.000 4.757 0.000
0.000 0.000 9.507
V Zn Si
12 3 1
Cartesian
0.000 0.000 1.157
0.000 0.000 3.567
0.000 0.000 5.940
0.000 0.000 8.350
1.176 2.379 2.438
1.176 2.379 7.068
2.376 1.177 0.000
2.376 1.222 4.753
2.376 3.536 4.753
2.376 3.580 0.000
3.575 2.379 2.438
3.575 2.379 7.068
0.000 2.379 0.000
2.376 0.000 2.385
2.376 0.000 7.122
0.000 2.379 4.753
```

Top 6 peaks for 10° ≤ 2θ ≤ 80°, low angle first:
- 37.85 deg, intensity 43.5
- 42.52 deg, intensity 100.0
- 46.81 deg, intensity 91.7
- 68.35 deg, intensity 5.1
- 71.56 deg, intensity 18.2
- 74.71 deg, intensity 40.9

(2)
This entry pairs a crystal structure of ZrVSi with its calculated XRD peak list. Radiation: Cu Kα, 1.54184 Å. Structure: a PBE-relaxed structure.

Cell and atoms:
```
ZrVSi
1.0
3.689 0.000 0.000
0.000 3.689 0.000
0.000 0.000 7.248
Zr V Si
2 2 2
Cartesian
0.922 0.922 1.020
2.767 2.767 6.228
0.922 2.767 3.624
2.767 0.922 3.624
0.922 0.922 5.402
2.767 2.767 1.846
```

Top 6 peaks for 10° ≤ 2θ ≤ 80°, low angle first:
- 27.12 deg, intensity 35.1
- 34.70 deg, intensity 85.7
- 36.61 deg, intensity 100.0
- 37.22 deg, intensity 34.2
- 42.71 deg, intensity 50.4
- 49.41 deg, intensity 51.2

(3)
This entry pairs a crystal structure of ZrV3Si2 with its calculated XRD peak list. Radiation: Cu Kα, 1.54184 Å. Structure: a PBE-relaxed structure.

Cell and atoms:
```
ZrV3Si2
1.0
6.549 -2.028 0.000
6.549 2.028 0.000
-3.623 0.000 6.894
Zr V Si
2 6 4
Cartesian
1.706 0.000 0.400
7.770 0.000 6.494
-0.759 0.000 2.530
2.212 0.000 3.577
4.306 0.000 2.299
5.169 0.000 4.595
7.264 0.000 3.317
10.235 0.000 4.363
-0.057 0.000 4.943
3.152 0.000 5.794
6.324 0.000 1.100
9.533 0.000 1.950
```

Top 6 peaks for 10° ≤ 2θ ≤ 80°, low angle first:
- 34.66 deg, intensity 32.7
- 38.59 deg, intensity 100.0
- 41.84 deg, intensity 86.0
- 42.67 deg, intensity 28.8
- 44.69 deg, intensity 49.0
- 58.67 deg, intensity 24.6

(4)
This entry pairs a crystal structure of Si5W3 with its calculated XRD peak list. Radiation: Cu Kα, 1.54184 Å. Structure: a PBE-relaxed structure.

Cell and atoms:
```
Si5W3
1.0
3.133 -6.401 0.000
3.133 6.401 0.000
-2.800 0.000 6.049
Si W
10 6
Cartesian
0.000 0.000 0.000
-1.360 2.055 5.526
1.629 5.046 2.745
1.536 1.828 2.218
-1.360 -2.055 5.526
1.560 1.598 5.131
2.990 0.000 0.946
1.536 -1.828 2.218
1.560 -1.598 5.131
1.629 -5.046 2.745
-0.045 3.250 3.777
2.645 3.824 0.885
-0.280 0.000 4.558
-0.045 -3.250 3.777
2.767 0.000 3.443
2.645 -3.824 0.885
```

Top 6 peaks for 10° ≤ 2θ ≤ 80°, low angle first:
- 26.56 deg, intensity 51.0
- 27.87 deg, intensity 60.0
- 28.53 deg, intensity 63.2
- 40.32 deg, intensity 100.0
- 41.06 deg, intensity 38.4
- 44.77 deg, intensity 43.1

(5)
-- stop --

You provide your athletes with a customized link to our programs, and we do the rest. Our programs are easy to access, self-paced, and DIY. Your clients are supported through our platform and team of experts throughout their journey to better health. You will be able to provide another valuable service to your clients without having to become an expert in a new area or gaining another certification. Most of all, your clients will get results they can both experience intuitively and quantify their progress via the INSCYD Metabolic Testing & Evaluations. 

Through our coach affiliate program we share the revenue with you so you can increase your revenue stream while enhancing your overall service/value offering.

Find out if we're a good fit

Get in touch with us today to find out how our services can enhance your coaching plans and to understand what the potential revenue opportunities are for your business.

What our athletes are saying

Jessica Rohlman - used Vespa as fuel to deal with Gluten intolerance - now kicking PB's and is in the best shape

See Jeff's story from Carb Loading to Diabetes to Keto to Fat Adaptation, how he feels 20 years younger and his performance had improved.

[ESTONIA] Aet Kiisla, a University Professor and Ultra-runner who discusses her journey from Carb loading to Low Carb, and then Fat adaptation to VESPA +Fat Adaptation.

We Are Pioneers in Metabolic Health & Performance

Peter is one of the pioneers in fat adaptation for performance. While the metabolic health benefits of Low Carb and/or Keto are well documented they come with a downside . . . a notable impairment of athletic performance which prevents you from reaching your health and performance potential.

OFM solves all this.

Even though the adverse effects of high carb/sugar intake is becoming obvious, restricting carbohydrates was considered heresy 22 years ago. Like any true innovator Peter was roundly ridiculed and dismissed by the "experts" even though athletes were consistently winning and setting Course Records at many of the most prestigious ultra-endurance competitions utilizing the OFM approach and VESPA.

In 2010  Doctors Stephen Phinney, MD / PhD and Jeff Volek RD / PhD , two of the World's leading researchers in Ketogenic Diets, took notice and made a point to discuss Peter's work in "The Art & Science of Low Carbohydrate Performance" as well as use his pool of  OFM athletes for the ground-breaking "FASTER" study. Peter's work goes "Beyond Keto", and so will you by experiencing OFM!

How do my clients access the material?

We provide you with an affiliate link your client uses to sign up for the program. Once they register with this link they have access to the materials in our course through our platform. There is nothing for you to setup or maintain.

I am worried about eliminating carbs

Need external carbs? . . . for survival, technically no, however, for that extra 'performance push' external carbohydrates are the 'go-to' and why OFM recommends them be used 'strategically' in the diet and fueling. What separates OFM from Keto and Low Carb is once we get the athlete metabolically shifted to burning fat as fuel and build their aerobic capacity & threshold along with their Metabolic Capacity Carbs are brought back in 'Strategically' to provide that quick burning energy on top of a massive aerobic fat burning base. Through optimizing fat metabolism for performance and health the body can produce and metabolize all 3 principle energy substrates; fat, ketones and glucose in an efficient and evolutionarily appropriate manner. Through this optimization the liver synthesizes glucose and ketones from fat to meet the metabolic need. This dramatically reduces the dependence upon external calories so they provide the 'performance push' while minimizing the cellular damage of too much sugar consumption.

Does OFM cause Ketoacidosis?

No. Ketoacidosis is a rare and dangerous medical condition that mainly occurs in people with Type 1 Diabetes if they are ill. By building Metabolic Capacity OFM will have you in in and out of a state of nutritional ketosis without having to adhere to a Keto Diet. When OFM Adapted Ketosis is a safe and natural metabolic state which confers superior cognitive function and brain and neural health.

Will this affect my exercise and energy levels?

During the first couple of weeks when you are switching from a compromised physiology dependent upon external carbohydrates via the OFM Metabolic Reset (MR) your ability to train will most likely be reduced. After completing the MR most OFM participants are able to return to a normal training or exercise levels. They should note sustained energy , enhanced focus and improved recovery, however, at this point many lose or do not experience the explosive power they expect for performance. This is developed in the Adaptation Phase where we develop both power and stamina through the building of Metabolic Capacity.

Will this protocol leave me nutrient deficient?

NO! OFM actually devotes the 2nd Tier of the OFM Pyramid to 'Nutrition NOT Calories' to address this issue. You will learn how to replace the junk, nutritionally empty and inflammatory foods currently in your diet with nutritious foods to achieve dietary/nutritional balance. And while it is theoretically possible to get all your nutrition from food the reality is most people do not have a lifestyle which facilitates the balanced nutrition of OFM or won't consume certain foods like liver, collagen rich foods, etc. To cover these gaps we've developed the OFM supplementation protocols. We don't recommend a plethora of confusing supplements, only the one you need to fill in the gaps so you can perform optimally.  .
